Barbecuing in the park with our loved ones, taking a hike through the forest and enjoying the sun - we love summer! With the rising temperatures, we are increasingly drawn to the outdoors and outdoor adventures sound particularly tempting. Unfortunately, summertime is also tick time and it can happen that we bring a parasite home with us. We all know that we always have to search for excursions. But what should we do if we have already been bitten by a tick? How can a tick bite be treated? Is a skin change after a tick bite dangerous and when should you see a doctor? So that you don't ruin your summer, we've done some research for you and explained everything you need to know about it!
Treating tick bites: How to remove ticks from people?
It's not just our pets that get bitten by ticks - a tick bite can affect absolutely any of us. Especially when we are often out in nature, we should always examine our bodies thoroughly. The single most important thing to do when you spot a tick is thisto be removed as quickly as possible. The parasites are not only annoying, but also carriers of two serious diseases – Lyme disease and TBE. And this is how a tick can be removed from people:
(Next to the piece, the page also holds calculated crystals)
-- begin --
1.
Calculated powder XRD pattern
Compound: Na3Ga2Ge4
Radiation: Cu Kα (λ = 1.5418 Å)
Structure: a PBE-relaxed structure
Kinematic intensities with the Lorentz-polarization factor, no thermal factor.

The 6 most intense peaks (2θ from 5° to 70°), low angle first:
h k l, d (Å), I/Imax
2 0 0, 5.481, 75.3
1 1 -1, 3.650, 96.7
3 1 -1, 2.708, 100.0
2 0 3, 2.425, 63.5
0 2 0, 2.114, 71.3
3 1 -3, 2.093, 91.9

Cell: 11.0476 4.2285 8.6916 Å, 90.00 97.12 90.00°
Space group C2/m (No. 12)
Inequivalent atoms, fractional coordinates:
Na (0.0000, 0.0000, 0.0000)
Na (0.0964, 0.5000, 0.7109)
Ga (0.1942, 0.5000, 0.3401)
Ge (0.1065, 0.0000, 0.4546)
Ge (0.1985, 0.5000, 0.0473)

2.
Calculated powder XRD pattern
Compound: Na6GaGe2
Radiation: Cu Kα (λ = 1.5418 Å)
Structure: a PBE-relaxed structure
Kinematic intensities with the Lorentz-polarization factor, no thermal factor.

The 6 most intense peaks (2θ from 5° to 70°), low angle first:
h k l, d (Å), I/Imax
1 0 1, 4.536, 75.3
0 1 2, 4.375, 24.7
1 1 0, 2.652, 100.0
1 0 10, 2.434, 37.7
0 1 11, 2.268, 26.0
3 0 0, 1.531, 20.7

Cell: 5.3039 5.3039 28.6963 Å, 90.00 90.00 120.00°
Space group R-3m (No. 166, hexagonal axes)
Inequivalent atoms, fractional coordinates:
Na (0.0000, 0.0000, 0.0763)
Na (0.0000, 0.0000, 0.2012)
Na (0.0000, 0.0000, 0.3095)
Ga (0.0000, 0.0000, 0.5000)
Ge (0.0000, 0.0000, 0.4147)

3.
Calculated powder XRD pattern
Compound: Na2SrGaGe2
Radiation: Cu Kα (λ = 1.5418 Å)
Structure: a PBE-relaxed structure
Kinematic intensities with the Lorentz-polarization factor, no thermal factor.

The 6 most intense peaks (2θ from 5° to 70°), low angle first:
h k l, d (Å), I/Imax
0 1 0, 8.688, 85.5
1 2 1, 2.893, 97.7
1 1 2, 2.779, 100.0
0 1 3, 2.484, 36.3
1 3 0, 2.430, 69.4
2 0 0, 2.234, 43.2

Cell: 4.4680 8.6880 7.7763 Å, 90.00 90.00 90.00°
Space group Pmc2_1 (No. 26)
Inequivalent atoms, fractional coordinates:
Na (0.0000, 0.0737, 0.0000)
Na (0.5000, 0.1579, 0.3205)
Sr (0.5000, 0.4384, 0.9781)
Ga (0.0000, 0.3239, 0.6305)
Ge (0.0000, 0.3802, 0.2714)
Ge (0.5000, 0.1678, 0.6975)

4.
Calculated powder XRD pattern
Compound: Na2SrGa2Ge2
Radiation: Cu Kα (λ = 1.5418 Å)
Structure: a PBE-relaxed structure
Kinematic intensities with the Lorentz-polarization factor, no thermal factor.

The 6 most intense peaks (2θ from 5° to 70°), low angle first:
h k l, d (Å), I/Imax
0 0 6, 4.830, 27.4
1 0 4, 3.392, 25.0
1 0 7, 2.815, 100.0
1 1 0, 2.216, 76.9
0 2 7, 1.741, 23.3
1 1 12, 1.633, 28.2

Cell: 4.4319 4.4319 28.9777 Å, 90.00 90.00 120.00°
Space group R-3m (No. 166, hexagonal axes)
Inequivalent atoms, fractional coordinates:
Na (0.0000, 0.0000, 0.1420)
Sr (0.0000, 0.0000, 0.0000)
Ga (0.0000, 0.0000, 0.4236)
Ge (0.0000, 0.0000, 0.2612)

5.
Calculated powder XRD pattern
Compound: Na2GaGeTe4
Radiation: Cu Kα (λ = 1.5418 Å)
Structure: a PBE-relaxed structure
Kinematic intensities with the Lorentz-polarization factor, no thermal factor.
-- stop --
- Grasp the tick firmly just above the skin with fine, pointed tweezers.
- To prevent pathogens and fluids from getting into the wound, you should never squeeze the tick.
- Hold for about 40-50 seconds - sometimes the ticks remove the clamp on their own.
- Now pull the tick out slowly and straight. Since the parasites hold on with barbs, you may want to pull a little harder.
- Check the area to see if you have removed the entire tick.
- Finally, clean the affected area thoroughly with alcohol or disinfectant. Alternatively, you can also use soap and water.
- If remnants of the tick remain in the skin, don't worry at first. This is usually part of the stinging apparatus and the foreign body is rejected on its own after 1-2 days. If this is not the case or if you notice skin changes after a tick bite, contact a doctor immediately!
Skin changes after a tick bite: what should you do?
The most important step in treating a tick bite is of course removing the tick. However, in some cases, a red circle may form around the affected area after a tick bite. The bump usually appears within a few days or a week and feels tender and warm to the touch. It is difficult to tell in the early stages whether this is a harmless reaction or a disease such as Lyme disease or TBE. Skin irritations usually go away on their own within 2-3 days. If the skin changes persist after the tick bite or even get bigger, then it is time to see a doctor.
If a red circle forms and spreads after a tick bite, this is called erythema migrans. This usually develops within a few days of the bite, but in some cases it can develop after around 30 days. The redness has a diameter of around 6-10 centimeters and spreads outwards. Therefore, it is important that you observe the affected area every day and contact a doctor if you suspect an infection. Even if you suffer from fever, fatigue or a severe headache, you should seek medical treatment for the tick bite. Without appropriate therapy, the disease progresses and, in the worst case, can spread to other organs.
-- Unrelated to this text: materials data --
........
The following is a theoretical powder XRD pattern of Ho5Er2Sc4. It was derived from the GGA-PBE geometry in Alexandria, using Cu Kα.
Lines closer than 0.1° are merged.

Structural model:
Lattice parameters (Å, degrees): 8.660 3.485 10.699 90.00 94.63 90.00
Space group P2/m (No. 10)
Unique sites:
Ho  0.000  0.000  0.000 [1 per cell]
Ho  0.048  0.000  0.334 [2 per cell]
Ho  0.353  0.000  0.867 [2 per cell]
Er  0.425  0.000  0.364 [2 per cell]
Sc  0.253  0.500  0.574 [2 per cell]
Sc  0.298  0.500  0.130 [2 per cell]

Principal peaks in the range 5° ≤ 2θ ≤ 70°, in order of falling intensity:
d 3.486, 2θ 25.55, rel. 100.0
d 2.727, 2θ 32.84, rel. 53.0
d 2.712, 2θ 33.03, rel. 49.7
d 2.802, 2θ 31.94, rel. 37.3
d 2.859, 2θ 31.28, rel. 32.9
d 2.489, 2θ 36.09, rel. 30.2
d 2.836, 2θ 31.54, rel. 29.9
d 2.877, 2θ 31.08, rel. 28.5
d 2.666, 2θ 33.62, rel. 27.6
d 4.381, 2θ 20.27, rel. 26.7
d 2.451, 2θ 36.67, rel. 26.2
d 2.607, 2θ 34.40, rel. 26.1

=====

Starting from a GGA-PBE-relaxed structure, the powder diffractogram of CsSc2AgSe4 was calculated for Cu Kα (λ = 1.5418 Å).

Crystal structure
Lattice parameters (Å, degrees): 3.880 16.718 14.848 90.00 90.00 90.00
Space group Cmcm (No. 63)
Asymmetric unit:
Cs  0.000  0.169  0.250 x4
Sc  0.000  0.411  0.089 x8
Ag  0.000  0.127  0.750 x4
Se  0.000  0.000  0.000 x4
Se  0.000  0.198  0.595 x8
Se  0.000  0.483  0.250 x4

Principal peaks in the range 15 to 90 degrees two-theta, low angle first:
2θ = 20.86°, d 4.259, I 31, (0 2 3); 2θ = 24.44°, d 3.642, I 24, (0 4 2); 2θ = 28.00°, d 3.187, I 95, (1 3 0); 2θ = 30.55°, d 2.926, I 100, (1 3 2); 2θ = 33.46°, d 2.678, I 40, (1 3 3); 2θ = 36.30°, d 2.475, I 33, (0 0 6); 2θ = 37.52°, d 2.397, I 32, (1 5 2); 2θ = 46.47°, d 1.954, I 67, (1 3 6); 2θ = 46.83°, d 1.940, I 30, (2 0 0); 2θ = 48.38°, d 1.881, I 42, (1 7 3)

Starting from a GGA-PBE-relaxed structure, the powder diffractogram of Ce6PuAgHg2 was calculated for Cu Kα (λ = 1.5418 Å).

Crystal structure
Lattice parameters (Å, degrees): 12.841 7.218 7.866 90.00 126.82 90.00
Space group C2/m (No. 12)
Asymmetric unit:
Ce  0.056  0.237  0.265 x8
Ce  0.225  0.000  0.122 x4
Pu  0.000  0.000  0.000 x2
Ag  0.000  0.500  0.500 x2
Hg  0.230  0.000  0.724 x4

Principal peaks in the range 15 to 90 degrees two-theta, low angle first:
2θ = 23.94°, d 3.717, I 42, (1 1 1); 2θ = 24.22°, d 3.675, I 35, (3 1 -1); 2θ = 28.57°, d 3.124, I 41, (4 0 -1); 2θ = 30.26°, d 2.954, I 42, (2 2 0); 2θ = 33.71°, d 2.659, I 100, (2 2 -2); 2θ = 34.91°, d 2.570, I 28, (4 0 0); 2θ = 40.34°, d 2.236, I 29, (1 1 -3); 2θ = 43.22°, d 2.093, I 21, (4 2 0); 2θ = 50.58°, d 1.805, I 23, (0 4 0); 2θ = 50.94°, d 1.793, I 21, (6 2 -3)

Starting from a GGA-PBE-relaxed structure, the powder diffractogram of Ac6Rh2Br3Cl was calculated for Cu Kα (λ = 1.5418 Å).

Crystal structure
Lattice parameters (Å, degrees): 7.726 13.351 8.520 90.00 107.49 90.00
Space group C2/m (No. 12)
Asymmetric unit:
Ac  0.204  0.000  0.199 x4
Ac  0.250  0.181  0.798 x8
Rh  0.000  0.167  0.000 x4
........
Does the tick bite itch after weeks?
=====
This entry pairs a crystal structure of Ba2GdMgSbO6 with its calculated XRD peak list. Radiation: λ = 1.5418 Å (Cu Kα). Structure: a crystal structure in the Materials Project, relaxed with PBE.

Atomic structure:
Cell: 11.074 6.382 7.311 Å, 90.00 120.91 90.00°
Space group Cm (No. 8)
Inequivalent atoms, fractional coordinates:
Ba (0.000, 0.000, 0.000) [2 per cell]
Ba (0.103, 0.500, 0.803) [2 per cell]
Gd (0.252, 0.000, 0.754) [2 per cell]
Mg (0.400, 0.000, 0.188) [2 per cell]
Sb (0.309, 0.500, 0.429) [2 per cell]
O (0.019, 0.000, 0.623) [2 per cell]
O (0.275, 0.227, 0.036) [4 per cell]
O (0.291, 0.277, 0.607) [4 per cell]
O (0.497, 0.000, 0.032) [2 per cell]

Principal peaks in the range 10° ≤ 2θ ≤ 80°, low angle first:
2θ 14.1, I 35
2θ 24.9, I 15
2θ 27.9, I 100
2θ 28.6, I 41
2θ 28.8, I 21
2θ 31.5, I 15
2θ 37.7, I 12
2θ 40.3, I 13
2θ 40.6, I 18
2θ 49.4, I 21
2θ 49.7, I 9
2θ 57.7, I 19

---

This entry pairs a crystal structure of Ba2GdMgSbO6 with its calculated XRD peak list. Radiation: λ = 1.5418 Å (Cu Kα). Structure: a crystal structure in the Materials Project, relaxed with PBE.

Atomic structure:
Cell: 6.204 6.312 9.931 Å, 90.00 90.00 90.00°
Space group Immm (No. 71)
Inequivalent atoms, fractional coordinates:
Ba (0.000, 0.000, 0.192) [4 per cell]
Gd (0.000, 0.500, 0.000) [2 per cell]
Mg (0.000, 0.000, 0.500) [2 per cell]
Sb (0.000, 0.500, 0.500) [2 per cell]
O (0.000, 0.500, 0.245) [4 per cell]
O (0.230, 0.232, 0.500) [8 per cell]

Principal peaks in the range 10° ≤ 2θ ≤ 80°, low angle first:
2θ 27.0, I 100
2θ 28.3, I 37
2θ 28.8, I 36
2θ 30.5, I 19
2θ 30.6, I 12
2θ 36.2, I 13
2θ 40.8, I 42
2θ 41.7, I 12
2θ 42.4, I 14
2θ 49.3, I 20
2θ 49.9, I 19
2θ 55.6, I 13

---

This entry pairs a crystal structure of BaGdNbSnO6 with its calculated XRD peak list. Radiation: λ = 1.5418 Å (Cu Kα). Structure: a crystal structure in the Materials Project, relaxed with PBE.

Atomic structure:
Cell: 8.561 8.561 8.561 Å, 90.00 90.00 90.00°
Space group F-43m (No. 216)
Inequivalent atoms, fractional coordinates:
Ba (0.000, 0.000, 0.000) [4 per cell]
Gd (0.250, 0.250, 0.250) [4 per cell]
Nb (0.250, 0.250, 0.750) [4 per cell]
Sn (0.000, 0.000, 0.500) [4 per cell]
O (0.015, 0.250, 0.750) [24 per cell]

Principal peaks in the range 10° ≤ 2θ ≤ 80°, low angle first:
2θ 17.9, I 2
2θ 20.8, I 1
2θ 29.5, I 100
2θ 34.8, I 2
2θ 36.4, I 2
2θ 42.2, I 30
2θ 46.2, I 1
2θ 52.4, I 41
2θ 55.8, I 1
2θ 61.3, I 19
2θ 69.4, I 18
2θ 77.2, I 6

---

This entry pairs a crystal structure of BaGdNbSnO6 with its calculated XRD peak list. Radiation: λ = 1.5418 Å (Cu Kα). Structure: a crystal structure in the Materials Project, relaxed with PBE.

Atomic structure:
Cell: 5.961 6.022 8.549 Å, 90.56 90.31 90.60°
Space group P-1 (No. 2)
Inequivalent atoms, fractional coordinates:
Ba (0.006, 0.022, 0.249) [2 per cell]
Gd (0.000, 0.500, 0.000) [1 per cell]
Gd (0.500, 0.000, 0.500) [1 per cell]
Nb (0.000, 0.500, 0.500) [1 per cell]
Nb (0.500, 0.000, 0.000) [1 per cell]
=====
As with other parasites that feed on blood, ticks have chemicals in their saliva. Before they start sucking blood, the ticks release these active substances that act like a kind of anesthetic. Since this makes us insensitive to pain, we don't notice the sting at all at first. A tick bite usually doesn't itch. However, it can sometimes happen that the affected area becomes infected with bacteria after removal. But you don't need to panic right away - if the itching goes away after 3-4 days, it is not an infection. In this case, you can relieve the itching with various home remedies or ointments, but do not scratch! The tick bite still itches after weeks and redness has formed? To rule out a possible infection with pathogens or to treat the tick bite, consult a doctor.
Tick protection is very important for both animals and people from spring to around October. To treat or prevent a tick bite, it doesn't always have to be chemical products from the store. There are many effective natural home remedies for ticks that are just as effective andwhich can deter parasites. And here are the best home remedies you can use as tick protection. But before you try some of them, we need to clarify something. The effects are not scientifically confirmed and our list is based more on experience. Therefore, home remedies may not work as effectively for you.
Coconut oil as tick protection
Coconut oil is a real all-rounder when it comes to skin and hair care. Therefore, it is no surprise that we can use it as a tick repellent. The antimicrobial ingredients lauric acid and capric acid deter parasites. The caprylic acid it contains also acts as a natural insecticide and can therefore dissolve the shell of ticks and other insects. To protect yourself, simply rub vulnerable areas of your body with coconut oil and you're ready for your next outdoor adventure.
Treat tick bites: Garlic against ticks and insects
Ticks are more attracted to some odor components, such as sweat. However, other smells can repel the parasites. An extremely effective home remedy to keep ticks and all insects away from you is garlic. To do this, you can either chew 1-2 cloves of garlic before going for a walk or rub it on vulnerable parts of the body, such as calves and ankles.